The reader should say how many lines of the listing further below hold the word "R-3m", as a bare number.
'''
Record 1
Density functional theory data (PBE-GGA) for an optimized crystal structure of LaH2OsO6.

a b c (Å): 5.0098 5.3421 5.7276
angles (deg): 67.21 68.64 64.34
Space group P1 (No. 1)
One atom of each set of equivalent atoms:
La 0.0000 0.0000 0.0000
H 0.1824 0.3778 0.2964
H 0.9459 0.6765 0.6951
Os 0.5214 0.4910 0.4870
O 0.1072 0.7327 0.6997
O 0.2643 0.5346 0.2448
O 0.3868 0.1912 0.6909
O 0.5256 0.8381 0.2584
O 0.7197 0.4652 0.7124
O 0.8662 0.2771 0.2937

Total energy ... -6.8536 eV/atom
D(E_F) ... 1.9 states/eV per cell

Record 2
Density functional theory data (PBE-GGA) for an optimized crystal structure of Cs2CrInI6.

a b c (Å): 12.0931 12.0931 12.0931
angles (deg): 90.00 90.00 90.00
Space group Fm-3m (No. 225)
One atom of each set of equivalent atoms:
Cs 0.2500 0.2500 0.2500
Cr 0.0000 0.0000 0.0000
In 0.0000 0.0000 0.5000
I 0.0000 0.0000 0.2296

Total energy ... -3.2110 eV/atom
D(E_F) ... 0.0 states/eV per cell

Record 3
Density functional theory data (PBE-GGA) for an optimized crystal structure of Er2BiN.

a b c (Å): 3.5714 3.5714 22.7820
angles (deg): 90.00 90.00 120.00
Space group R-3m (No. 166, hexagonal axes)
One atom of each set of equivalent atoms:
Er 0.0000 0.0000 0.2219
Bi 0.0000 0.0000 0.0000
N 0.0000 0.0000 0.5000

Total energy ... -6.4333 eV/atom
D(E_F) ... 8.7 states/eV per cell
Offset from the most stable computed form ... 16.7 kJ per mole of atoms

Record 4
Density functional theory data (PBE-GGA) for an optimized crystal structure of Ba3Tl2Hg2.

a b c (Å): 4.5678 26.9674 4.2863
angles (deg): 90.00 90.00 90.00
Space group Cmmm (No. 65)
One atom of each set of equivalent atoms:
Ba 0.0000 0.0000 0.0000
Ba 0.0000 0.1572 0.0000
Tl 0.0000 0.4217 0.5000
Hg 0.0000 0.2845 0.5000

Total energy ... -2.0094 eV/atom
D(E_F) ... 10.9 states/eV per cell


An optimized crystal structure of Mn3Fe2Si3O12. Source: the Alexandria database, functional PBE+U.

Cell: 11.962 11.962 11.962 Å, 90.00 90.00 90.00°
Space group Ia-3d (No. 230)
Asymmetric unit:
Mn (0.000, 0.250, 0.125) [24 per cell]
Fe (0.000, 0.000, 0.000) [16 per cell]
Si (0.000, 0.250, 0.375) [24 per cell]
O (0.036, 0.052, 0.657) [96 per cell]

Output
Total DFT energy (no corrections) ... -7.612 eV per atom
Total moment ... 200.000 μB/cell


A relaxed structure of MgGaF. Source: Alexandria via LeMat-Bulk, functional GGA-PBE.

Summary:
- formation energy (no corrections) (eV/f.u.) = -5.0
- space group = P4/nmm (129)
- VASP energy (eV per atom) = -3.82
- total magnetization (μB per formula unit) = 0.0
- excess energy over the best structure of this formula in the dataset (meV per atom) = 15

POSCAR file:
```
MgGaF
1.0
3.622 0.000 0.000
0.000 3.622 0.000
0.000 0.000 7.011
Mg Ga F
2 2 2
direct
0.250 0.250 0.163
0.750 0.750 0.837
0.250 0.250 0.573
0.750 0.750 0.427
0.250 0.750 0.000
0.750 0.250 0.000
```
'''
1